00 21/08/2012 18:38


On this day when we celebrate the Assumption of the Virgin Mary, under whose patronage France has been placed, let us present to God, through the intercession of Our Lady, our trustful prayers for our nation:

1. In these times of economic crises, many of our fellow citizens are victims of various constraints and see the future with unease. Let us pray for those who have the power to decide in this field, and let us pray to God that he may make us even more generous in solidarity with those like us.

2. For those who were recently elected to legislate and govern: That their sense of the common good for society may prevail over special requests and that they may have the strength to follow what their conscience says.

3. For families: That their legitimate expectation of support from society may not be in vain; that their members support each other with faithfulness and tenderness throughout life, especially in sorrowful moments. Let the commitment of spouses towards each other and towards their children be a sign of the faithfulness of love.

4. For children and young people: That we can all help them to find their own way to progress to happiness; that they may cease to be the object pf adult desires and conflicts so that they may fully benefit from the love of a mother and a father.

Lord our God, we entrust the future of our nation to you. Through the intercession of Our Lady, let us have the courage to make the necessary choices for a better quality of life for everyone, and for the blossoming of our young people thanks to strong and faithful families. Through Jesus Christ, our lord.

L'Osservatore Romano today, which reports the Holy Father's Angelus remarks last Sunday and his message to the C&L-sponsored 33rd Meeting for Friendship among Peoples in Rimini, features a front-page commentary by a French author on the big controversy in France - calling it 'an inexistent scandal' - over a national Prayer on the Feast of the Assumption composed by Cardinal Andre Vingt-Trois, Archbishop of Paris and president of the French bishops' conference. The prayer was read from most French Catholic pulpits on Assumption Day... As this was one of the topics I failed to post about in the past few days, here first is a general but hardly non-partisan background from the French news agency AFP.

Catholic prayer implicitly opposing
gay marriage angers secular France


Cardinal Vingt-Trois and his call to prayer.

PARIS, August 16 (AFP) - A centuries-old tradition was revived on August 15th when a “Prayer for France” was read out at Catholic churches across the country. The text, which attacks government plans to legalise same-sex marriage, has angered French gay rights groups.

Gay rights groups in France have reacted angrily to the Catholic Church after it issued a call to prayer to protect the sacrament of marriage from same-sex couples.

The controversial “Prayer for France” was sent out to churches across the country to be read out on August 15 to mark the feast of the Assumption.

The prayer’s subject matter is designed to mobilise Catholics against François Hollande’s Socialist Party government, which recently affirmed plans to open up marriage and adoption to gay couples.

In a thinly veiled reference to the proposed gay marriage bill, Cardinal Andre Vingt-Trois asked churchgoers to pray for “newly elected officials” to put their “sense of common good over the pressure to meet special demands”.

[I really don't see the reason for leftists to be so militant about overturning all of human history to grant special rights to any group of people whose propensities are not shared by most human beings, even by those who understand that deviation from normality is possible. And the norm in the Church is that God created man and woman and urged them to go forth and multiply.]

These words have angered gay rights groups across France, who have slammed the church for "homophobia" and for interfering in politics.

“François Hollande is committed to these reforms and they have been reaffirmed by his government,” Nicolas Gougain of the Inter LGBT activist group told FRANCE 24.

“We can count on getting a majority in Parliament and no prayer will be able to block this necessary legislation. Religion has no place in politics,”
he added.

The annual “Prayer for France” was a centuries-old custom that died out after World War II. It was first uttered in the seventeenth century after King Louis XIII decreed all churches would pray on August 15 for the good of the country.

Church spokesman Monsignor Bernard Podvin said its revival was timed to “raise the consciousness of public opinion about grave social choices”.

Minister for Families Dominique Bertinotti told French media this week that a bill legalising gay marriage will be voted on in parliament in early 2013.

As well as opposing gay marriage, the prayer also makes clear the Catholic Church’s resistance to gay adoption.

The cardinal invites congregations to pray that “children cease to be objects of the desires and conflicts of adults and fully benefit from the love of a father and a mother”.

These words provoked the wrath of Inter LGBT.

“He is implying that it is dangerous for a child to be brought up by same-sex parents," Gougain said. "The text of the prayer is homophobic. The church’s definition of family is far from the reality of the diverse families we see today – same-sex, mixed or single parents."

“We are asking that all different types of families are recognised, in the interests of both child and parent.”

The Prayer for France follows the hardline stance taken by the leader of the Catholic Church, Pope Benedict XVI, who in January said gay marriage threatened “the future of humanity itself”. [Because the Western world is already experiencing serious negative birth rate, and only heterosexual couples can beget children!]
Gay Christian groups have also reacted angrily to the Cardinal’s prayer.

“Most of our members are really upset by this terrible prayer, which reinforces the fears certain Catholics have towards homosexuals,” Elisabeth Saint-Guily of gay Christian group David and Jonathan told Europe1 radio.

“France’s bishops, and above them the Vatican, are using homophobic language. The Bible says, 'Love thy neighbour as yourself'. We would like the bishops to apply this maxim. They should love all their neighbours, including homosexuals,” she said.

Cardinal Philippe Barbarin of Lyon defended the church’s position, saying marriage, defined at the start of the Bible, was created by God to join man and woman.

“Nobody should be surprised if we Catholics think that the first page of the Bible is right, even more so than a parliament,” he told Europe1.

And here's the OR commentary:

An inexistent scandal -
Rather, the need to explain the truth

by Patrick Kechichian
Translated from the 8/20-8/21 issue of

Editor's Note: On the controversy stirred up in France about the Catholic Prayer for Assumption Day, we republish here an article that appeared in Le Monde on August 19. The author is the literary critic of that Parisian daily, and also writes for La Croix and La Revue des Deus Mondes. In 2009, he wrote a book called Petit eloge du catholicisme (A small eulogy for Catholicism).

"The Church is used to being the doormat on which everyone else tries to clean their feet". Cardinal Barbarin has said. Indeed, any occasion is a good one to do that [for the enemies of the Church].

At issue is a prayer composed by Cardinal Andre Vingt-Trois, Archbishop of Paris and president of the French bishops' conference, for the Feast of the Assumption. One can immediately note the flagrant disproportion between the delicacy of the text and the violent accusations it has provoked.

This prayer does not attack nor take anyone to task, and certainly not homosexuals. Let us look at its fourth 'petition' which has given rise to all the hostility, but also remember that it comes after three earlier petitions, one of which was for "those who were recently elected to legislate and govern".

Here is the 'scandalous' sentence that has caused trembling and fear among virtuous souls certain of their absolute rights: "For children and young people, that all of us may help each one to discover his own way towards happiness; that they may cease to be objects of adult desires and conflicts and fully enjoy the love of a father and a mother".

I do not wish to analyze the text, but is it not obvious that what the prayer implicitly defends is not accompanied by a condemnation of any persons or groups who do not share the same view of humanity and its laws?

And if these groups and persons are free to express themselves, who should not the Church express its thinking on an issue which is a priority among her concerns? No offense meant to those who confuse secularism and anti-clericalism.

On the one hand, we have an opinion, very much current but dated, whose eventual relevance will be measured by opinion polls, which are in themselves a summation of convergent opinions.

On the other hand, we have a consistent thought, faithful to twenty centuries of religious anthropology (far longer, if we go back to Genesis, the first book of the Old Testament).

It is here that the misrepresentation, with a good dose of dishonesty, become quite patent. Of course, it is possible to elevate an evolution of 'customs' to the level of 'inviolable law', by claiming this to be 'progress', which Charles Peguy has defined as a 'theory of deception and disillusionment'.

But it cannot be ignored that the Church is merely stating, with gentleness and humility, and with holy obstination, the permanence of a an anthropological world view in which the inviolable rights of every man and every woman are rooted.

This is a world view that did not originate from a whim, a fancy or a 'special interest'. It was born with the divine Revelation handed down to us by Sacred Scriptures and all of human tradition.

And is the Church acting out of bounds when it recalls this part of the truth of which she is the depository? If the French government and Parliament give their opinion on matrimony and decide to change its nature, is it not legitimate for the Church - which learned from Christ the dignity of marriage and the link it creates between man and woman, a dignity elevated to the status of a sacrament - to also make her voice heard?

It is a voice that does not seek to drown out other voices, but the Church cannot accept that she becomes inaudible and unheard because of sarcasms or unfounded accusations.

And of what do they accuse Cardinal Vingt-Trois? That he said words he had the task and the duty to say, not just pent up within sacristy walls, but to make them heard in the open?

He did not invent those words, which are not that of a party or an opinion group nor about circumstantial interests. All he did was to find the words, the most appropriate words that would not be hurting. And it is what he did, I repeat, with great delicacy.

But what the words contain, the position of the Church, cannot change. Her strength as well as her weakness is in this intangible immutability. Then each one is free to decide according to his conscience. [But for Catholics, such conscience must be formed by what the Church teaches, not "My conscience, right or wrong, and it is always right".]

Because whatever else others might say, the role of the Church is not to evolve with time. If it had done so in the past centuries, it would have ceased to be heard at all.

Nor is her role to cover her eyes and just be horrified by the evolution of customs and practices, but to maintain her vigilance, her constant attentiveness, by virtue of the truth she has received.

In order to be able to defend and explain this truth, always and everywhere, in good times or bad, and even under insults.

Then where is the scandal? And where are the prejudices? Certainly not where the clamor of ill will insists they must be found.

### Data records, as found in the file
- - -
Structure and calculated powder X-ray diffraction pattern of Li3Mo3P4O16 (a DFT-relaxed cell (PBE+U, Alexandria); Cu Kα (λ = 1.5418 Å)).
Neutral-atom scattering factors, no anomalous dispersion.

Peak list (12 most intense, 10 to 90 degrees two-theta, by angle)
d/Å, 2θ (°), intensity
6.909, 12.81, 24.7
4.424, 20.07, 78.8
4.384, 20.26, 78.8
3.931, 22.62, 36.2
3.807, 23.36, 64.9
3.556, 25.04, 35.3
3.426, 26.01, 63.4
2.789, 32.09, 100.0
2.663, 33.65, 38.4
2.562, 35.02, 46.9
2.539, 35.36, 59.9
1.474, 63.05, 28.5

Crystal structure
```
Li3Mo3P4O16
1.0
8.8052 0.0000 0.0000
0.0000 5.1246 0.0000
-7.5234 0.0000 13.8177
Li Mo P O
6 6 8 32
direct
0.0000 0.0000 0.0000
0.0000 0.5000 0.5000
0.2605 0.0563 0.6115
0.2605 0.4437 0.1115
0.7395 0.5563 0.8885
0.7395 0.9437 0.3885
0.2184 0.5252 0.7189
0.2184 0.9748 0.2189
0.5000 0.0000 0.5000
0.5000 0.5000 0.0000
0.7816 0.0252 0.7811
0.7816 0.4748 0.2811
0.0651 0.5018 0.8888
0.0651 0.9982 0.3888
0.4693 0.0053 0.8498
0.4693 0.4947 0.3498
0.5307 0.5053 0.6502
0.5307 0.9947 0.1502
0.9349 0.0018 0.6112
0.9349 0.4982 0.1112
0.0254 0.7467 0.6036
0.0254 0.7533 0.1036
0.0548 0.2291 0.6129
0.0548 0.2709 0.1129
0.0835 0.5099 0.7979
0.0835 0.9901 0.2979
0.2410 0.5155 0.9836
0.2410 0.9845 0.4836
0.3407 0.0340 0.1292
0.3407 0.4660 0.6292
0.3453 0.5922 0.2458
0.3453 0.9078 0.7458
0.4288 0.1941 0.3548
0.4288 0.3059 0.8548
0.4337 0.6504 0.4205
0.4337 0.8496 0.9205
0.5663 0.1504 0.0795
0.5663 0.3496 0.5795
0.5712 0.6941 0.1452
0.5712 0.8059 0.6452
0.6547 0.0922 0.2542
0.6547 0.4078 0.7542
0.6593 0.5340 0.3708
0.6593 0.9660 0.8708
0.7590 0.0155 0.5164
0.7590 0.4845 0.0164
0.9165 0.0099 0.7021
0.9165 0.4901 0.2021
0.9452 0.7291 0.8871
0.9452 0.7709 0.3871
0.9746 0.2467 0.8964
0.9746 0.2533 0.3964
```
- - -

Frankly, one may find the language of Cardinal Vingt-Trois's prayer too careful in trying not to offend those concerned, robbing it in that way of some forcefulness. One might argue that those concerned took great umbrage anyway - were always going to and always will - so why bother to soft-pedal the message? But perhaps, in these times, it is good the cardinal set an example of thoughtful consideration for the other side, even if they are incapable of appreciating the spirit of Christian charity in which it it is given.

In yet another Western country that's all set to legalize 'gay marriage', this development about another mebattled bishop who has made the Catholic position clear:

Edinburgh cardinal suspends
dialog with the Scottish government
which is determined to pass
same-sex marriage law in any case

Translated from the 8/22/12 issue of

EDINBURGH, August 21 - It is a symbolic but eloquent gesture. Cardinal Keith O'Brien, Archbishop of Edinburgh and president of the Scottish bishops' conference, has suspended direct communications with the Scottish government to protest the support of the latter for legislation wich will legalize same-sex marriage.

The cardinal has refused an invitation for further discussions, letting his functionaries attend instead.

The Socttish government has decided to enact the new law even if public opinion appears to deem it unnecessary. But the government has made it known that it is committed to carry the project forward, and expects the first such marriages to be legally contracted by the start of 2015.

Cardinal O'Brien has also opposed a similar enterprise underway in England and Wales, saying his was not simply a Catholic position but one of reason and good sense.
[Modificato da TERESA BENEDETTA 22/08/2012 16:27]